### What to do
Next, search the calculation results further down for the word "C32H26F10N7OPSeV" and set down each line that has it.

### Excerpt
'''
(1)
C32H26CrIN6O6 | the ωB97M-V functional and the def2-TZVPD basis

```
! RIJCOSX wB97M-V def2-TZVPD def2/J DEFGRID3
* xyz -1 5
Cr -0.053 -1.070 0.219
O -0.675 1.924 -3.122
C 0.603 2.296 -3.325
C 0.843 3.326 -4.236
C 2.136 3.747 -4.494
C 3.213 3.147 -3.848
C 2.973 2.134 -2.928
C 1.682 1.700 -2.640
C 1.406 0.702 -1.564
O 0.236 0.089 -1.587
N 2.274 0.524 -0.633
N 1.754 -0.406 0.282
C 2.341 -0.397 1.587
C 1.975 -1.751 2.150
C 2.734 -2.457 3.072
C 2.294 -3.686 3.496
C 1.118 -4.191 2.975
C 0.420 -3.431 2.055
N 0.828 -2.234 1.666
H -0.648 1.154 -2.488
H -0.008 3.783 -4.731
H 2.305 4.549 -5.206
H 4.228 3.466 -4.059
H 3.791 1.657 -2.398
H 3.426 -0.259 1.521
H 3.654 -2.028 3.445
H 2.862 -4.251 4.227
H 0.741 -5.162 3.265
H -0.491 -3.793 1.597
N -2.290 -3.193 -0.994
C -2.687 -2.678 0.187
C -3.971 -3.039 0.682
C -4.385 -2.569 1.886
C -3.530 -1.738 2.636
C -2.316 -1.417 2.093
N -1.889 -1.850 0.888
C -1.062 -3.177 -1.690
C -1.031 -3.781 -2.928
C 0.158 -3.877 -3.647
C 1.335 -3.320 -3.038
C 1.243 -2.727 -1.829
N 0.061 -2.624 -1.096
H -3.019 -3.661 -1.497
H -4.599 -3.698 0.092
H -5.362 -2.845 2.268
H -3.814 -1.342 3.601
H -1.626 -0.765 2.620
H -1.954 -4.195 -3.328
H 0.186 -4.348 -4.621
H 2.296 -3.349 -3.537
H 2.108 -2.273 -1.360
I -2.753 7.312 2.059
C -2.327 5.324 1.540
C -1.328 4.649 2.220
C -1.054 3.329 1.871
C -1.772 2.705 0.862
C -2.764 3.402 0.188
C -3.050 4.722 0.522
C -1.479 1.269 0.498
O -2.169 0.687 -0.333
O -0.473 0.749 1.132
H -0.773 5.137 3.010
H -0.277 2.771 2.385
H -3.295 2.892 -0.606
H -3.821 5.269 -0.004
C 2.517 2.476 1.265
O 2.071 1.928 2.516
C 1.820 0.624 2.659
O 1.243 0.252 3.654
H 2.852 3.483 1.499
H 1.697 2.505 0.552
H 3.325 1.897 0.826
*
```

Its total energy is -3357.323603 Eh. The frontier orbital gap (alpha / beta) comes out at 3.92 / 6.11 eV. The calculation puts the HOMO energy (alpha / beta) at -1.74 / -3.92 eV. The value obtained for the energy above the lowest of the compared OMol25 structures with the same formula, charge and spin is 13.70 kcal per mole. The calculation puts the strongest force on any atom at 2.5 eV Å⁻¹.



(2)
C32H26F10N7OPSeV | the ωB97M-V functional and the def2-TZVPD basis

```
! RIJCOSX wB97M-V def2-TZVPD def2/J DEFGRID3
* xyz 1 3
V 0.771 -0.075 1.533
C 3.058 -1.661 5.385
C 1.794 -1.611 4.583
C 1.485 -2.612 3.662
C 0.330 -2.557 2.890
C -0.076 -3.697 2.000
C -0.515 -1.441 3.030
C -0.252 -0.437 3.988
C -1.201 0.703 4.219
C 0.915 -0.540 4.739
H 3.690 -0.805 5.144
H 3.621 -2.571 5.191
H 2.835 -1.614 6.451
H 2.153 -3.460 3.559
H -0.540 -3.348 1.076
H -0.811 -4.316 2.519
H 0.767 -4.339 1.750
H -1.456 -1.420 2.485
H -1.702 0.567 5.180
H -1.966 0.762 3.450
H -0.667 1.653 4.264
H 1.150 0.239 5.455
F -3.498 0.668 -3.243
C -3.986 0.320 -2.061
C -5.089 -0.441 -2.008
F -5.663 -0.812 -3.139
C -5.674 -0.905 -0.758
C -4.963 -0.451 0.430
C -3.858 0.301 0.368
F -3.319 0.729 1.516
C -3.251 0.737 -0.877
C -2.130 1.493 -0.931
C -1.192 1.752 0.208
N -0.616 0.848 0.845
C -1.636 2.090 -2.135
N -1.171 2.532 -3.088
F -5.451 -0.763 1.621
C -6.782 -1.686 -0.700
C -7.502 -2.135 -1.855
N -8.130 -2.538 -2.727
C -7.351 -2.165 0.525
N -7.858 -2.548 1.482
Se -0.719 3.605 0.606
C -2.366 4.282 0.119
N -3.398 4.662 -0.217
C 2.352 2.913 -2.449
C 3.198 1.732 -2.900
N 2.567 0.940 -3.950
C 2.497 1.511 -5.302
C 1.114 2.009 -5.683
C 2.088 -0.307 -3.787
O 1.598 -0.979 -4.677
C 2.206 -0.947 -2.420
C 3.080 -2.005 -2.213
C 3.102 -2.637 -0.981
C 2.232 -2.203 -0.004
N 1.391 -1.177 -0.186
C 1.375 -0.563 -1.380
H 2.839 3.430 -1.621
H 1.363 2.585 -2.121
H 2.204 3.631 -3.255
H 3.420 1.084 -2.052
H 4.161 2.082 -3.278
H 2.821 0.737 -5.999
H 3.229 2.319 -5.338
H 0.393 1.193 -5.655
H 1.134 2.405 -6.699
H 0.766 2.796 -5.016
H 3.737 -2.324 -3.013
H 3.779 -3.453 -0.775
H 2.225 -2.657 0.977
H 0.692 0.269 -1.497
F 2.132 1.397 0.710
P 3.048 1.606 2.136
F 3.105 3.144 1.910
F 3.739 1.582 3.533
F 2.744 -0.110 2.272
F 1.550 1.723 2.853
F 4.344 1.279 1.328
*
```
'''

### Completed
C32H26F10N7OPSeV | the ωB97M-V functional and the def2-TZVPD basis